
Jono's Journal

Subscribe for inights on building a one person buisness and the perils of a creative mind

It's time to stop.

I’ve been doing a lot of thinking. And I think it’s time I admit something to myself. I can’t do this anymore. For the past year, I’ve been incredibly consistent. But I’ve decided to stop my newsletter… temporarily. This might come as a surprise. A lot of content creators will say I’m crazy. But I need to do this. Why I’m Pausing My Newsletter I’ve realized my newsletter is not my greatest priority right now. It’s been a great habit, and it’s kept me in a solid routine. But the truth is—it’s...

How to Break Free from Fear

Your mind is your worst enemy. It will make you deal with things like: • Fear • Anxiety • Overthinking • Negative self-talk These are all states of consciousness we’ve experienced at different points in life. Depending on the person, they can linger longer than desired—or worse, take up permanent residency in your mind. 99% of people think their mental health struggles are normal without realising it, and so they don’t seek help or even talk about them. After all, it’s hard to talk about...

I Broke the Number One Rule of Being a Creator

99% of creators would be struck with anxiety and fear for their future if they did this. 3 months ago, I would have been too. What did I do that’s so unique, so unthinkable to most creators? I stopped creating. [Insert shock sound effect] gasp Most people—even beyond creators—are so fixed on doing that they forget how to be. We’re all busy thinking about the future, so much so that we forget to enjoy the only thing we truly have: the present moment. Creators are no different. In fact, being a...

I’ll keep this brief…

_These quantum chemistry results were left in the text by mistake_
Entry 1:
Computed, not measured: an isolated molecule of C3H7NO2, with the ωB97M-V functional and the def2-TZVPD basis.

Properties
**Lowest unoccupied orbital energy**: 0.87 eV
**Net charge**: 0
**F_max**: 0.011 Eh/bohr
**Frontier orbital gap**: 10.5 eV
**HOMO**: -0.35517 hartree
**Electronic energy**: -323.74760 Ha
**SMILES**: C[C@@H](O)C(N)=O
**2S+1**: 1

Positions of all 13 atoms, in Å:
H: 1.03478 0.94199 0.69552
H: 1.53659 -1.48893 -0.37803
C: 0.06056 -0.90159 1.36251
H: 0.20680 -0.51867 2.37454
C: 0.55228 0.04762 0.26475
H: 0.24206 1.81292 -1.83069
O: 1.56804 -0.53467 -0.53991
H: 0.48989 -1.91269 1.29288
N: -0.61695 1.35079 -1.59140
H: -1.01057 -0.98356 1.19462
O: -1.84219 0.01694 -0.29729
C: -0.73680 0.46487 -0.56667
H: -1.48451 1.70497 -1.98084

Atoms 1-3, force components in eV/Å:
-0.52 -0.08 -0.18
0.04 0.33 -0.25
-0.21 0.08 0.10

These are the natural (NBO) partial charges, in e, on atoms 1 to 8:
1. H 0.186
2. H 0.473
3. C -0.664
4. H 0.220
5. C 0.010
6. H 0.398
7. O -0.709
8. H 0.201

Entry 2:
Computed, not measured: a cluster of 9 separate species, C44H100N4O15 in total in a non-equilibrium geometry, with the ωB97M-V functional and the def2-TZVPD basis.

Properties
**Lowest unoccupied orbital energy**: 0.64 eV
**Net charge**: 0
**F_max**: 0.097 Eh/bohr
**Frontier orbital gap**: 8.8 eV
**HOMO**: -0.29863 hartree
**Electronic energy**: -3083.96771 Ha
**SMILES**: CCOC(=O)OC.CCOC(=O)OC.CCOC(=O)OC.CCOC(=O)OC.CCOC(=O)OC.CCN(CC)CC.CCN(CC)CC.CCN(CC)CC.CCN(CC)CC
**2S+1**: 1

Positions of all 163 atoms, in Å:
H: 23.14045 13.60560 22.39782
O: 22.63603 7.58497 11.71858
H: 17.00664 11.37521 16.86134
C: 14.69395 11.50790 14.40400
H: 21.41587 5.90018 12.14378
C: 16.03162 11.16438 16.42204
H: 15.26830 12.89022 21.08840
O: 24.44734 16.26930 16.18132
H: 20.47901 11.34131 13.87514
O: 24.82541 14.04781 13.18186
O: 11.95598 13.16258 18.16011
H: 19.63441 12.00115 19.58354
H: 20.08434 15.87346 15.63140
C: 10.87084 13.61462 17.36108
H: 22.60892 7.69633 23.40612
C: 12.95157 14.07099 18.47068
O: 23.96600 14.13767 16.94572
H: 21.94474 11.70109 14.72882
N: 28.25948 11.51228 17.29696
H: 29.19652 9.13232 16.06092
H: 22.58035 10.48619 22.21058
C: 23.74063 11.40496 20.57810
H: 25.35325 8.61397 12.76012
C: 29.24531 13.78525 17.57722
H: 16.78880 12.91157 20.13594
H: 24.67507 14.89591 20.12686
H: 27.53218 10.55220 19.09438
H: 21.77944 7.13277 14.27332
H: 23.81444 8.78154 16.78916
N: 24.54733 12.33507 21.38556
H: 29.79456 13.98507 16.65717
H: 16.23832 14.27226 21.11168
H: 22.37146 17.70054 16.66006
O: 24.16139 8.26576 10.27498
N: 21.23003 10.97744 17.22932
C: 20.93199 12.27220 17.79599
H: 22.10774 8.34673 17.12530
C: 25.28932 13.60147 16.80217
H: 21.02926 17.06492 17.56958
O: 22.44998 15.65179 17.11390
H: 26.62310 10.53196 21.23818
H: 18.27286 9.73634 19.35214
H: 13.17019 12.96440 15.29324
H: 23.14337 11.25507 16.38512
H: 19.21291 13.37204 18.62358
H: 12.46240 11.52072 14.72330
C: 25.31481 9.56581 13.28988
H: 15.69671 14.00742 18.32969
H: 23.34740 15.41038 13.35156
_Here the text continues_

It’s the end of the first year of my writing journey. I’ve learned an insane amount of things, like: Writing Business Social media Monetising But the most interesting thing I’ve learned about? My self. It’s crazy what you learn about yourself when you set a goal and commit to it. 1 year of writing, 1 letter every week, Posting on Twitter every day. Challenges arise, you realise you need a system, processes, workflows. You get angry, annoyed and want to give up. But being consistent towards a...

Are You a Human Being or a Human Doing?

Ever feel like your life is a never-ending marathon, moving faster than you can keep up? I've got things to do, places to be and people to see. The list is endless. The voice in my head keeps reminding me like a constant tug of my shirt. Thoughts are flying around my head. We're all busy, going to work, paying the bills, buying groceries and maintaining some what of a social life. When we've got a moment to ourselves, that voice reminds you of that endless list. Thoughts are flying around...

Stop looking forwards, look backwards

I'm an addict. The future is exciting, new information is exciting. That rush of dopamine when I watch a new video or start a new book. It's thrilling and makes me feel like I'm making progress in my writing journey. In order to grow and make progress you need to consume new information right? Yes, but no. Yes you need new information so you can calibrate your compass and head in the right direction. But not, if you consume too much you'll send your compass into a frenzy and it won't know...

Perfectionism is killing me.

It's been 1 year... I never thought this would be possible, but I did it. Even when I didn't feel like it, i did it. Right now as I write this and face resistance, I'm doing it. What did I do? Consistently wrote 1x Newsletter every Saturday for a year. For some that might not sound like much. But for me, it's huge. Consistency has always kicked me in the ass. I want something, I start something, I realise the process of getting something takes time, I give up. There's a lot of words to...

Stop Living on Autopilot: A Framework for Being Present

"The present moment is rarely fully acknowledged it's always it's just a stepping stone to the next moment which is the future" - Eckhart Tolle You are not here. You are somewhere else. You’re thinking about the next task. You aren’t present. The next task approaches, you engage and start doing, but your mind is already thinking about the one after that. You get annoyed when the current task takes too long. You want it done now so you can move on. Annoyance builds, adding another brick to the...

Become a one person business

Yo Reader If I read this headline 2 years a go, I would have hit the unsubscribe button. Ehh… business… Men wearing suits, trying to take money from you. No soul or creativity, it's a machine designed to turn employees into zombies while profiting the higher ups. A stereotype I did not want anything to do with. But that's exactly what it is, a stereotype, and it's the unfortunate truth of some businesses. Thankfully not all are like that and the good news is you can rebel against it. Business...

Monetise your ideas

Getting paid to think is the future of work. Creators like Naval or Dan Koe are impacting millions of lives online and profiting just by thinking and sharing their ideas. Ideas are the new oil. DAN KOE @thedankoe All new wealth is being generated in the digital space. Digital real estate is accessible and (vastly) more affordable than physical. Teenagers are going viral making absurd amounts of cash that older generations can't fathom. Ideas are the new oil:...

Subscribe for inights on building a one person buisness and the perils of a creative mind